August 17
Strong Traps, Healthy Shoulders
Everyone does shrugs for traps, but that's the worst exercise choice for some people. Here's how to train traps and keep your shoulders healthy.
August 15
Beyond the Farmer's Walk
If you're not doing these loaded carry exercises, then you're missing out on muscle growth, strength gains, and much more. Check out these 6 variations.
August 12
What Overtraining Is and Isn't
Most people who use the word “overtraining” have no clue what it really means. Are you one of them? Here's everything you need to know.
August 10
Push-Ups: You're Doing Them Wrong!
A lot of people can't do one proper push-up. And YOU may be one of them. Here are the most common problems and how to fix 'em.
August 4
Stop Lying About Your Overhead Press
Every man should be able to press .75 times his bodyweight overhead. If you can't, or can only do it using bad form, then this is for you.
July 28
The Best Training Method You're Not Using
This training method adds volume and builds strength, size, and endurance while getting you ripped. It's also fun. Here's how to do it.
July 27
6 Lifts to Fix Your Overhead Press
Improve your technique. Wipe out deficiencies. Get more weight over your head than ever before. Here's how.
Misplaced calculated crystals.
+++
1.
Density functional theory data (meta-GGA r2SCAN) for a relaxed HoB4Rh crystal.

Computed properties:
Magnetic moment: 0.0 μB per formula unit
Energy of formation: -0.6836 eV/atom
Uncorrected energy: -15.084 eV/atom

```
data_HoB4Rh
_cell_length_a 5.9366
_cell_length_b 11.5125
_cell_length_c 3.5460
_cell_angle_alpha 90.00
_cell_angle_beta 90.00
_cell_angle_gamma 90.00
_space_group_name_H-M_alt 'P b a m'
_space_group_IT_number 55
loop_
_space_group_symop_operation_xyz
'x,y,z'
'-x,-y,-z'
'-x,-y,z'
'x,y,-z'
'x+1/2,-y+1/2,-z'
'-x+1/2,y+1/2,z'
'-x+1/2,y+1/2,-z'
'x+1/2,-y+1/2,z'
loop_
_atom_site_label
_atom_site_fract_x
_atom_site_fract_y
_atom_site_fract_z
Ho1 0.1309 0.1488 0.0000
B1 0.0231 0.6925 0.5000
B2 0.1125 0.5469 0.5000
B3 0.1362 0.9692 0.5000
B4 0.2102 0.8130 0.5000
Rh1 0.1420 0.4053 0.0000
```


2.
Density functional theory data (meta-GGA r2SCAN) for a relaxed Ho2B6Rh crystal.

Computed properties:
Magnetic moment: 0.0 μB per formula unit
Energy of formation: -0.7122 eV/atom
Uncorrected energy: -15.599 eV/atom

```
data_Ho2B6Rh
_cell_length_a 9.1422
_cell_length_b 11.4690
_cell_length_c 3.6416
_cell_angle_alpha 90.00
_cell_angle_beta 90.00
_cell_angle_gamma 90.00
_space_group_name_H-M_alt 'P b a m'
_space_group_IT_number 55
loop_
_space_group_symop_operation_xyz
'x,y,z'
'-x,-y,-z'
'-x,-y,z'
'x,y,-z'
'x+1/2,-y+1/2,-z'
'-x+1/2,y+1/2,z'
'-x+1/2,y+1/2,-z'
'x+1/2,-y+1/2,z'
loop_
_atom_site_label
_atom_site_fract_x
_atom_site_fract_y
_atom_site_fract_z
Ho1 0.0556 0.1262 0.0000
Ho2 0.1770 0.4135 0.0000
B1 0.0169 0.2873 0.5000
B2 0.0533 0.5662 0.5000
B3 0.1120 0.9694 0.5000
B4 0.1337 0.8156 0.5000
B5 0.2060 0.2352 0.5000
B6 0.2488 0.5798 0.5000
Rh1 0.1394 0.6789 0.0000
```


3.
Density functional theory data (meta-GGA r2SCAN) for a relaxed Ho2B6Ru crystal.

Computed properties:
Magnetic moment: 0.0 μB per formula unit
Energy of formation: -0.7629 eV/atom
Uncorrected energy: -15.792 eV/atom

```
data_Ho2B6Ru
_cell_length_a 9.1034
_cell_length_b 11.4673
_cell_length_c 3.6421
_cell_angle_alpha 90.00
_cell_angle_beta 90.00
_cell_angle_gamma 90.00
_space_group_name_H-M_alt 'P b a m'
_space_group_IT_number 55
loop_
_space_group_symop_operation_xyz
'x,y,z'
'-x,-y,-z'
'-x,-y,z'
'x,y,-z'
'x+1/2,-y+1/2,-z'
'-x+1/2,y+1/2,z'
'-x+1/2,y+1/2,-z'
'x+1/2,-y+1/2,z'
loop_
_atom_site_label
_atom_site_fract_x
_atom_site_fract_y
_atom_site_fract_z
Ho1 0.0562 0.1273 0.0000
Ho2 0.1778 0.4143 0.0000
B1 0.0166 0.2872 0.5000
B2 0.0538 0.5671 0.5000
B3 0.1101 0.9696 0.5000
B4 0.1319 0.8147 0.5000
B5 0.2093 0.2337 0.5000
B6 0.2477 0.5801 0.5000
Ru1 0.1376 0.6788 0.0000
```


4.
Density functional theory data (meta-GGA r2SCAN) for a relaxed HoB2Ru3 crystal.

Computed properties:
Magnetic moment: 0.0 μB per formula unit
Energy of formation: -0.5192 eV/atom
Uncorrected energy: -21.160 eV/atom

```
data_HoB2Ru3
_cell_length_a 5.4646
_cell_length_b 5.4646
_cell_length_c 3.0195
_cell_angle_alpha 90.00
_cell_angle_beta 90.00
_cell_angle_gamma 120.00
+++
The calculated crystals stop here.
July 23
Tip: Don't Do Straight Sets
Want to fire up your nervous system and stay strong from set to set? Try this method.
July 21
Build a Savage Squat: The 5 Best Methods
Squat stalled out? Stop pussyfooting around with it. Here's what to do to restart your size and strength gains.
July 20
The 3 Smartest Ways to Train Shoulders
Yes, you can build big strong shoulders without wrecking your joints. Here are three ways to do it.
July 14
5 Lies About Lifting Weights
You hear these silly things every day, even from coaches and trainers. Here's where they're getting it wrong.
July 12
The Most Hated Machine in the Gym
The Smith machine is used by bodybuilders, strongmen, and powerlifters. And they're bigger and stronger than you, hater. Maybe it's time you learn to use it right. Here's how.
July 5
7 Proven Squat & Deadlift Boosters
There's more to obliterating squat and deadlift sticking points than just increasing volume. Here are 7 ways to do it.
June 29
4 Movements For a Monster Deadlift
A weak deadlift is a sign of a weak body. Get your numbers up with these surefire variations. Here's exactly how to do them plus a workout program.
June 18
Tip: Avoid This Major Training Mistake
Want to get bigger and stronger? Then you're going to have to remove this bad habit from your life. Check it out.
June 15
5 Primer Exercises to Boost Your Big Lifts
Do these exercises before you squat, bench, or deadlift and you'll not only lift more weight, your movements will be smooth, sexy, and pain free.
June 10
10 Things Every Lifter Should Be Able to Do
If strength, health, and longevity are what you're after, then you should be able to easily pass these tests. If not, you have work to do.
June 7
The Holy Grail of Sports Training: EMOM Sets
EMOM sets are magical. They train the body to fire motor units faster, more explosively, and more powerfully. They even improve technique. Here's how to do them.
June 6
How I Added 100 Pounds to My Deadlift in 2 Weeks
Just by changing how his training was laid out over the week, the author was able to hit new PRs and reach a whole new level of muscularity. Here's how you can too.